New Zealand proposes new legislation for medical cannabis
There has been increasing interest (on a global level) in the therapeutic properties of medicinal cannabis. Now, New Zealand (NZ) released a proposed regulatory approach for medical cannabis. The Government expects to finalise the regulations by December 18, 2019. The implementation of the medical cannabis scheme is then anticipated to take place in the first quarter of 2020. Comments on the proposal should be sent until August 7, 2019. The NZ Ministry of Health will analyse the feedback and will work together with the Medicinal Cannabis Advisory Group on recommendations before providing advice to the Government. The Ministry of Health will then seek approval from Cabinet on the regulatory proposals.
New Cannabis Agency
Like in Germany, first of all a Medicinal Cannabis Agency has to be established in NZ. Amongst others, the NZ Cannabis Agency's responsibilities would be:
- Licensing of growers, processors, manufacturers, importers, exporters and wholesale distributers of medicinal cannabis products;
Materials data, kept here for reference.
/*
[1]
Density functional theory data (PBE-GGA) for a relaxed structure of TaSi10W4.

a = 20.006 Å, b = 20.006 Å, c = 20.006 Å
α = 170.71°, β = 170.71°, γ = 13.15°
Element x y z (fractional)
Si: 0.333 0.333 0.000
Si: 0.667 0.667 0.000
Si: 0.068 0.068 0.000
Si: 0.867 0.867 0.000
Si: 0.267 0.267 0.000
Si: 0.932 0.932 0.000
Si: 0.133 0.133 0.000
Si: 0.534 0.534 0.000
Si: 0.733 0.733 0.000
Si: 0.466 0.466 0.000
W: 0.399 0.399 0.000
W: 0.800 0.800 0.000
W: 0.601 0.601 0.000
W: 0.200 0.200 0.000
Ta: 0.000 0.000 0.000



[2]
Density functional theory data (PBE-GGA) for a relaxed structure of PuAl2Pd5.

a = 4.176 Å, b = 4.176 Å, c = 8.087 Å
α = 104.96°, β = 104.96°, γ = 90.00°
Element x y z (fractional)
Pu: 0.000 0.000 0.000
Pd: 0.354 0.854 0.708
Pd: 0.146 0.646 0.292
Pd: 0.646 0.146 0.292
Pd: 0.854 0.354 0.708
Pd: 0.500 0.500 0.000
Al: 0.252 0.252 0.505
Al: 0.748 0.748 0.495



[3]
Density functional theory data (PBE-GGA) for a relaxed structure of SrEuHfZrO6.

a = 5.891 Å, b = 5.891 Å, c = 5.891 Å
α = 60.00°, β = 60.00°, γ = 60.00°
Element x y z (fractional)
O: 0.752 0.248 0.248
O: 0.248 0.752 0.752
O: 0.248 0.752 0.248
O: 0.752 0.248 0.752
O: 0.248 0.248 0.752
O: 0.752 0.752 0.248
Eu: 0.250 0.250 0.250
Sr: 0.750 0.750 0.750
Hf: 0.000 0.000 0.000
Zr: 0.500 0.500 0.500



[4]
Density functional theory data (PBE-GGA) for a relaxed structure of CoB10H23C13.

a = 8.229 Å, b = 9.236 Å, c = 12.259 Å
α = 98.39°, β = 95.78°, γ = 101.99°
Element x y z (fractional)
C: 0.583 0.112 0.802
C: 0.269 0.089 0.470
C: 0.092 0.084 0.744
C: 0.908 0.916 0.256
C: 0.588 0.947 0.781
C: 0.412 0.053 0.219
C: 0.227 0.269 0.170
C: 0.915 0.766 0.237
C: 0.959 0.287 0.704
C: 0.163 0.962 0.395
C: 0.805 0.784 0.533
C: 0.046 0.258 0.122
C: 0.834 0.192 0.627
C: 0.773 0.731 0.830
C: 0.085 0.234 0.763
C: 0.031 0.016 0.337
C: 0.954 0.742 0.878
C: 0.731 0.911 0.530
C: 0.837 0.038 0.605
C: 0.417 0.888 0.198
C: 0.041 0.713 0.296
C: 0.054 0.174 0.381
C: 0.166 0.808 0.373
C: 0.195 0.216 0.467
C: 0.969 0.984 0.663
C: 0.946 0.826 0.619
H: 0.696 0.477 0.878
H: 0.820 0.686 0.177
H: 0.775 0.545 0.661
H: 0.240 0.325 0.519
H: 0.480 0.854 0.270
H: 0.037 0.262 0.032
H: 0.001 0.647 0.838
H: 0.384 0.881 0.908
H: 0.963 0.738 0.968
H: 0.183 0.007 0.075
H: 0.304 0.523 0.122
H: 0.973 0.246 0.357
H: 0.789 0.372 0.298
H: 0.362 0.889 0.638
H: 0.680 0.762 0.019
H: 0.211 0.628 0.702
H: 0.512 0.132 0.872
H: 0.039 0.593 0.280
H: 0.039 0.846 0.868
H: 0.808 0.956 0.213
H: 0.192 0.044 0.787
H: 0.708 0.186 0.826
H: 0.464 0.621 0.538
H: 0.488 0.868 0.128
H: 0.616 0.119 0.092
H: 0.027 0.754 0.643
H: 0.738 0.235 0.581
H: 0.180 0.314 0.823
H: 0.581 0.602 0.313
H: 0.621 0.914 0.474
H: 0.760 0.675 0.481
H: 0.536 0.379 0.462
H: 0.262 0.765 0.419
H: 0.961 0.407 0.720
H: 0.320 0.238 0.981
H: 0.520 0.146 0.730
H: 0.379 0.086 0.526
H: 0.350 0.564 0.914
H: 0.817 0.993 0.925
H: 0.638 0.111 0.362
H: 0.419 0.398 0.687
H: 0.650 0.436 0.086
H: 0.961 0.154 0.132
H: 0.225 0.455 0.339
H: 0.292 0.814 0.174
H: 0.999 0.353 0.162
*/
Back to the text.
- Monitoring compliance with license conditions and quality standards;
- Monitoring unapproved medicinal cannabis products for adverse effects;
- Collecting and reporting on data to the International Narcotics Control Board (INCB) about medicinal cannabis production and use in New Zealand;
Attached: calculated crystals:
┌──
1.
Density functional theory data (r²SCAN) for a relaxed LiGdO2 crystal.

```
LiGdO2
1.0
6.350 0.000 0.000
0.000 6.103 0.000
-3.277 0.000 5.606
Li Gd O
4 4 8
direct
0.194 0.162 0.414
0.194 0.338 0.914
0.806 0.662 0.086
0.806 0.838 0.586
0.273 0.634 0.531
0.273 0.866 0.031
0.727 0.134 0.969
0.727 0.366 0.469
0.051 0.605 0.737
0.051 0.895 0.237
0.476 0.187 0.130
0.476 0.313 0.630
0.524 0.687 0.370
0.524 0.813 0.870
0.949 0.105 0.763
0.949 0.395 0.263
```

Computed properties:
For the total moment, the calculation gives 28.0 Bohr magnetons per cell. Its theoretical density is 6.0 g/cm3. For the formation enthalpy at 0 K, the calculation gives -3092 meV/atom. The calculated total energy comes out at -280.394 eV for the cell shown. Its space-group type is P2_1/c, No. 14.



2.
Density functional theory data (r²SCAN) for a relaxed RuW crystal.

```
RuW
1.0
2.767 0.000 0.000
-1.383 2.396 0.000
0.000 0.000 4.462
Ru W
1 1
direct
0.000 0.000 0.000
0.667 0.333 0.500
```

Computed properties:
For the total moment, the calculation gives 0.0 Bohr magnetons per cell. Its theoretical density is 16.0 g/cm3. For the formation enthalpy at 0 K, the calculation gives 143 meV/atom. The calculated total energy comes out at -76.507 eV for the cell shown. Its space-group type is P-6m2, No. 187.



3.
Density functional theory data (r²SCAN) for a relaxed Hf2Mn crystal.

```
Hf2Mn
1.0
0.000 6.083 6.083
6.083 0.000 6.083
6.083 6.083 0.000
Hf Mn
16 8
direct
0.000 0.000 0.000
0.000 0.000 0.500
0.000 0.500 0.000
0.185 0.185 0.565
0.185 0.565 0.185
0.185 0.565 0.565
0.435 0.435 0.815
0.435 0.815 0.435
0.435 0.815 0.815
0.500 0.000 0.000
0.565 0.185 0.185
0.565 0.185 0.565
0.565 0.565 0.185
0.815 0.435 0.435
0.815 0.435 0.815
0.815 0.815 0.435
0.137 0.788 0.788
0.212 0.212 0.212
0.212 0.212 0.863
0.212 0.863 0.212
0.788 0.137 0.788
0.788 0.788 0.137
0.788 0.788 0.788
0.863 0.212 0.212
```

Computed properties:
For the total moment, the calculation gives 8.6 Bohr magnetons per cell. Its theoretical density is 12.2 g/cm3. For the formation enthalpy at 0 K, the calculation gives -72 meV/atom. The calculated total energy comes out at -841.622 eV for the cell shown. Its space-group type is Fd-3m, No. 227.



4.
Density functional theory data (r²SCAN) for a relaxed LiVO2F2 crystal.

```
LiVO2F2
1.0
6.150 0.000 0.000
0.000 3.477 0.000
-2.422 0.000 6.107
Li V O F
2 2 4 4
direct
0.170 0.000 0.199
0.830 0.500 0.801
0.348 0.998 0.766
0.652 0.498 0.234
0.192 0.998 0.510
0.403 0.498 0.849
0.597 0.998 0.151
0.808 0.498 0.490
0.109 0.998 0.885
0.354 0.499 0.253
0.646 0.999 0.747
0.891 0.498 0.115
```

Computed properties:
For the total moment, the calculation gives 0.0 Bohr magnetons per cell. Its theoretical density is 3.3 g/cm3. For the formation enthalpy at 0 K, the calculation gives -2798 meV/atom. The calculated total energy comes out at -102.922 eV for the cell shown. Its space-group type is P2_1, No. 4.
└──
- Developing or endorsing guidance for the use of medicinal cannabis products;
- Monitoring the Medicinal Cannabis Scheme to assess progress in achieving its objectives.
There are three different options proposed for the quality management of the cultivation process:
- Manufacturers would determine the desired quality for the starting material.
This could be requiring compliance with Good Agricultural and Collection Practices (GACP) or setting product specifications for starting material. The Cannabis Agency would license the cultivation activity but would have no direct oversight of the quality of the starting material. No quality standard would be set by the regulator for cultivation.
- The regulator would set a cultivation process standard such as GACP, or a similar agricultural process standard, to address the specific requirements of growing, collecting and primary processing of cannabis plants. Under this proposal, the regulator would inspect the cultivator`s agricultural practices. The cultivator would be responsible for documenting and conducting quality controls, processes and SOPs to meet GACP.
Aspects that could be considered for inspection under this proposal would include:
- pesticide use,
- fertilisers, growth promoters, growth regulators and irrigation (water quality),
- growing mediums (soil or another substance through which plant roots grow and extract water and nutrients),
- harvest, drying and processing,
- destruction of unneeded organic material.
# Calculated crystals that have nothing to do with the text
-- begin --
Entry from the Materials Project database: a relaxed structure of Li2O (PBE-GGA).

Energy relative to the elements ... -1.90 eV/atom
Calculated volume ... 9.60 Å³/atom
Raw total energy ... -4.596 eV/atom
Relative energy among the computed polymorphs ... 158.6 meV per atom

Lattice parameters (Å, degrees): 9.5732 10.1037 10.1461 93.87 90.33 90.00
Last column: nearest neighbours and their distance in Å.
Element x y z (fractional)
Li1 0.0000 0.0000 0.0000  4 O 1.96-2.09
Li2 0.9996 0.7643 0.0743  4 O 1.89-2.02
Li3 0.0049 0.0347 0.7774  3 O 1.85-2.06
Li4 0.0212 0.8435 0.3419  2 O 1.88-1.96
Li5 0.0387 0.7556 0.5467  3 O 1.88-1.98
Li6 0.1079 0.9757 0.5851  4 O 1.95-2.13
Li7 0.1182 0.4283 0.1531  2 O 1.90-2.08
Li8 0.1186 0.3095 0.8566  2 O 1.91-2.04
Li9 0.1234 0.5044 0.5074  3 O 1.93-1.95
Li10 0.1344 0.3111 0.5895  2 O 1.86-1.93
Li11 0.1489 0.6489 0.9587  3 O 1.81-1.99
Li12 0.1515 0.8225 0.7495  4 O 1.94-2.13, 1 Li 2.17
Li13 0.1670 0.9237 0.1246  3 O 1.86-2.04
Li14 0.1888 0.2039 0.0898  3 O 1.88-2.05
Li15 0.2202 0.1402 0.7416  4 O 1.99-2.16, 1 Li 2.20
Li16 0.2376 0.5194 0.7389  3 O 1.84-2.06
Li17 0.2397 0.1551 0.3948  2 O 1.97-1.99, 1 Li 2.14
Li18 0.2418 0.7585 0.2687  2 O 1.93-1.95
Li19 0.2520 0.0042 0.8994  3 O 1.93-2.13
Li20 0.2549 0.3321 0.2912  3 O 1.81-1.88
Li21 0.2804 0.7101 0.5611  3 O 1.95-2.00
Li22 0.3243 0.7802 0.9890  4 O 1.91-2.12
Li23 0.3252 0.5581 0.1096  4 O 1.99-2.15
Li24 0.3398 0.9472 0.5247  3 O 1.90-2.02
Li25 0.3540 0.4058 0.9383  3 O 1.89-2.06
Li26 0.3680 0.2686 0.5765  3 O 1.87-2.08
Li27 0.3864 0.7051 0.7834  3 O 1.89-1.94
Li28 0.4205 0.4892 0.4800  3 O 1.86-2.04
Li29 0.4423 0.9832 0.2913  3 O 1.91-2.00
Li30 0.4515 0.4780 0.7577  2 O 1.84-1.98
Li31 0.4564 0.2172 0.0764  3 O 1.88-1.98
Li32 0.4622 0.9480 0.7988  3 O 1.91-1.94
Li33 0.4652 0.2368 0.8201  2 O 1.89-1.96
Li34 0.4857 0.9409 0.0308  3 O 1.92-2.01
Li35 0.4879 0.4222 0.2431  3 O 2.00-2.12, 1 Li 2.20
Li36 0.5101 0.6129 0.9601  4 O 1.91-2.08
Li37 0.5148 0.7749 0.1851  3 O 1.89-1.95
Li38 0.5513 0.0733 0.6071  3 O 1.90-1.99
Li39 0.5716 0.2453 0.4441  2 O 1.95, 1 Li 2.12
Li40 0.5791 0.7475 0.6486  3 O 1.90-2.10
Li41 0.6069 0.4204 0.0576  3 O 1.84-2.04
Li42 0.6195 0.5267 0.5932  3 O 1.88-1.99
Li43 0.6542 0.1213 0.9673  3 O 1.89-1.95
Li44 0.6595 0.8069 0.4134  3 O 1.91-2.01
Li45 0.6622 0.0277 0.4246  3 O 1.97-2.07, 1 Li 2.16
Li46 0.6825 0.5569 0.2955  3 O 1.94-2.00
Li47 0.6978 0.7434 0.8426  3 O 1.86-2.04
Li48 0.6994 0.0996 0.2182  3 O 1.91-2.00
Li49 0.7082 0.3134 0.7960  2 O 1.85
Li50 0.7265 0.6256 0.0967  3 O 1.87-1.95
Li51 0.7408 0.3308 0.2728  4 O 1.92-2.10
Li52 0.7615 0.5292 0.8390  4 O 2.01-2.20, 2 Li 2.25
Li53 0.7680 0.3256 0.5067  4 O 1.97-2.07, 1 Li 2.12
Li54 0.7682 0.9869 0.7278  3 O 1.96-2.14
Li55 0.7909 0.8920 0.0258  2 O 1.93-2.05
Li56 0.8107 0.7950 0.5870  3 O 1.84-1.98
Li57 0.8120 0.8535 0.2598  3 O 1.83-1.96
Li58 0.8161 0.3308 0.0560  2 O 1.84-1.96
Li59 0.8320 0.5663 0.4930  3 O 1.95-2.07
Li60 0.8665 0.1165 0.5471  3 O 1.96-2.16
-- stop --
- The regulator would set a product quality standard for starting materials.
The aspects of the starting material to be tested include
- Identity of the plant,
- Active ingredients,
- Microbiological contamination,
- Pesticides, heavy metals, mycotoxins etc.
Under this proposal, the regulator would set the New Zealand Product Quality Standards (PQS) Monograph (provided in Appendix 2 of the proposed document, similar to a pharmacopoeial monograph) as the quality standard for starting material. The cultivator would be responsible for ensuring that the starting material meets the quality standard, and would be required to provide evidence and documentation to prove this. The Cannabis Agency would be responsible for reviewing the evidence to verify that the starting material meets the PQS.
Appendix 2 states that the identification of the cannabis inflorescence is well defined within the American Herbal Pharmacopoeia: Cannabis Inflorescence and Leaf (2013). According to the text, the European Pharmacopeia (Ph. Eur.) is expected to publish a cannabis monograph in 2019, at the time of publication this should be considered the definitive text.
Currently in NZ, the quality manufacturing standard followed by all medicines manufacturers is Good Manufacturing Practice. The EU-GMP Guidelines and the New Zealand Code of GMP (based on the PIC/S GMP Guide) are noted as being ‘practically identical’, with only a few minor differences. However, "there are a number of areas where the two standards GMP and GPP do not align" (Good Production Practice, similar to Canada's GPP). "The GMP guidelines are more detailed, providing principles and interpretation on what must be included in a quality management system to comply, while the GPP standard provides less detail and is therefore more open to interpretation. This difference makes it difficult to directly compare the two standards". For example, stability testing is not required under GPP. Under GMP, the stability programme designed in accordance with the ICH Q1 Guidelines is required to establish the shelf life of the product.
Therefore, there are two options for a manufacturing process quality standard proposed:
- Adopt the current NZ approach for manufacturing in accordance with GMP (Medicines Act) for all medicinal cannabis products,
or - Allow for the manufacture of some medicinal cannabis product dosage forms under GMP (Medicines Act) and some medicinal cannabis dosage forms under GPP (Misuse of Drugs Act).
For more information please read the proposed document Medicinal Cannabis Scheme on the NZ Ministry of Health website.